**Work order:**
Your job: filter the material below: keep the lines with the word "One".
**Input:**
┌──
# CaC3

A geometry-optimized CaC3 structure (GGA-PBE, Alexandria via LeMat-Bulk).

a = 4.6680 Å, b = 9.5097 Å, c = 5.3806 Å
α = 90.00°, β = 90.00°, γ = 90.00°
Space group Cmcm (No. 63)
One atom of each set of equivalent atoms:
Ca: 0.0000 0.1413 0.2500 x4
C: 0.0000 0.4740 0.7500 x4
C: 0.1513 0.3943 0.2500 x8

Output
E_form, meV/atom: 940
Offset from the most stable computed form, meV per atom: 418
Magnetization, μB per formula unit: 0.0

=====

Record 1
Pm2Er2In7, relaxed, DFT PBE; space-group type = Cmmm; calculated volume = 32.238 A^3/atom; DFT formation energy = 0.019 eV/atom; spin magnetization = 0.0 μB per cell
1.0
-5.2015 1.5036 -5.4260
-1.4176 -5.8957 -0.2747
-4.7525 0.8654 5.9516
In Er Pm
7 2 2
direct
0.5003 0.7378 0.9998
0.5002 0.7375 0.4998
0.0000 0.0000 0.0000
0.9998 0.2622 0.5003
0.4997 0.2622 0.0002
0.0002 0.7378 0.4997
0.4998 0.2625 0.5002
0.2678 0.0000 0.7322
0.7322 0.0000 0.2678
0.8027 0.5000 0.8027
0.1973 0.5000 0.1973

Record 2
Pm5Er6In, relaxed, DFT PBE; space-group type = Immm; calculated volume = 31.211 A^3/atom; DFT formation energy = -0.049 eV/atom; spin magnetization = 0.0 μB per cell
1.0
-1.2438 4.7255 -0.9797
-3.0260 -4.9455 -7.3447
-5.3125 -2.5150 7.2809
Er Pm In
6 5 1
direct
0.7434 0.2433 0.2433
0.2456 0.0807 0.4104
0.7544 0.5896 0.9193
0.2566 0.7567 0.7567
0.7544 0.9193 0.5896
0.2456 0.4104 0.0807
0.0000 0.3371 0.6629
0.5000 0.1672 0.8328
0.5000 0.5000 0.5000
0.0000 0.6629 0.3371
0.5000 0.8328 0.1672
0.0000 0.0000 0.0000

Record 3
Pm3Er4In2, relaxed, DFT PBE; space-group type = C2/m; calculated volume = 29.996 A^3/atom; DFT formation energy = -0.166 eV/atom; spin magnetization = 0.0 μB per cell
1.0
4.9479 0.0000 0.0000
0.0000 7.5956 0.6007
-2.4740 -3.0017 6.9460
Er Pm In
4 3 2
direct
0.7791 0.6838 0.5583
0.2209 0.3162 0.4417
0.4416 0.6695 0.8833
0.5584 0.3305 0.1167
0.0000 0.0000 0.0000
0.1148 0.6740 0.2296
0.8852 0.3260 0.7704
0.3401 0.9998 0.6802
0.6599 0.0002 0.3198

Record 4
PmErIn, relaxed, DFT PBE; space-group type = P6_3/mmc; calculated volume = 28.930 A^3/atom; DFT formation energy = -0.344 eV/atom; spin magnetization = 0.0 μB per cell
1.0
5.4426 -0.0010 0.0000
-2.7211 4.7135 0.0000
0.0000 0.0000 6.7670
In Pm Er
2 2 2
direct
0.3334 0.1666 0.2500
0.6666 0.8334 0.7500
0.0000 0.5000 0.0000
0.0000 0.5000 0.5000
0.3333 0.1667 0.7500
0.6667 0.8333 0.2500
└──
**Result:**
One atom of each set of equivalent atoms: